[Excerpt]
┌──
Entry 1:
An optimized crystal structure of CsBr3Cl, computed with PBEsol.

Cell lengths 6.833, 6.833, 6.833 Å; angles 90.00, 90.00, 90.00 degrees
Sites, in units of the cell vectors:
Cs1 0.000 0.000 0.000
Br1 0.000 0.000 0.500
Br2 0.000 0.500 0.000
Br3 0.500 0.000 0.000
Cl1 0.500 0.500 0.500

Computed properties:
E_form (uncorrected) ... 180 meV/atom
SG ... Pm-3m, No. 221
Raw total energy ... -1.53 eV per atom
Crystal system ... cubic

---

Entry 2:
An optimized crystal structure of Sc2IrPt, computed with PBEsol.

Cell lengths 6.409, 6.409, 6.409 Å; angles 90.00, 90.00, 90.00 degrees
Sites, in units of the cell vectors:
Sc1 0.000 0.000 0.000
Sc2 0.000 0.500 0.500
Sc3 0.250 0.250 0.250
Sc4 0.250 0.750 0.750
Sc5 0.500 0.000 0.500
Sc6 0.500 0.500 0.000
Sc7 0.750 0.250 0.750
Sc8 0.750 0.750 0.250
Ir1 0.000 0.000 0.500
Ir2 0.000 0.500 0.000
Ir3 0.500 0.000 0.000
Ir4 0.500 0.500 0.500
Pt1 0.250 0.250 0.750
Pt2 0.250 0.750 0.250
Pt3 0.750 0.250 0.250
Pt4 0.750 0.750 0.750

Computed properties:
SG ... F-43m, No. 216
Raw total energy ... -8.13 eV per atom
Formation energy ... -0.628 eV per atom
Crystal system ... cubic

---

Entry 3:
An optimized crystal structure of Ti2Al2Pt, computed with PBEsol.

Cell lengths 6.318, 6.318, 3.962 Å; angles 90.00, 90.00, 90.00 degrees
Sites, in units of the cell vectors:
Ti1 0.164 0.336 0.000
Ti2 0.336 0.836 0.000
Ti3 0.664 0.164 0.000
Ti4 0.836 0.664 0.000
Al1 0.140 0.640 0.500
Al2 0.360 0.140 0.500
Al3 0.640 0.860 0.500
Al4 0.860 0.360 0.500
Pt1 0.000 0.000 0.500
Pt2 0.500 0.500 0.500

Computed properties:
SG ... P4/mbm, No. 127
Raw total energy ... -6.95 eV per atom
Formation energy ... -0.595 eV per atom
Crystal system ... tetragonal

---

Entry 4:
An optimized crystal structure of MgMo2P, computed with PBEsol.

Cell lengths 6.105, 6.105, 6.105 Å; angles 90.00, 90.00, 90.00 degrees
Sites, in units of the cell vectors:
Mg1 0.000 0.000 0.000
Mg2 0.000 0.500 0.500
Mg3 0.500 0.000 0.500
Mg4 0.500 0.500 0.000
Mo1 0.250 0.250 0.250
Mo2 0.250 0.250 0.750
Mo3 0.250 0.750 0.250
Mo4 0.250 0.750 0.750
Mo5 0.750 0.250 0.250
Mo6 0.750 0.250 0.750
Mo7 0.750 0.750 0.250
Mo8 0.750 0.750 0.750
P1 0.000 0.000 0.500
P2 0.000 0.500 0.000
P3 0.500 0.000 0.000
P4 0.500 0.500 0.500

Computed properties:
Distance to the lowest polymorph of the same formula ... 0.373 eV per atom
SG ... Fm-3m, No. 225
Raw total energy ... -7.40 eV per atom
Formation energy ... 0.357 eV per atom
Crystal system ... cubic

---

> Which formula does entry 3 have?

Ti2Al2Pt

---

> Which of these has the highest raw total energy?

CsBr3Cl

---

> Among the records above, which one has the highest raw total energy?

CsBr3Cl

---

> Among the records above, which one has the highest raw total energy?

CsBr3Cl

=====

[1]
CeScFe4 PBE-GGA relaxed; SG = F-43m (216); formation energy = -0.129 eV/atom; electronic total energy = -46.89 eV per cell; magnetic moment = 6.52 μB/f.u.
1.0
5.0455 0.0000 0.0000
└──

[To do]
What is needed: set down the whole of the listing further up without additions.

[Written answer]
Entry 1:
An optimized crystal structure of CsBr3Cl, computed with PBEsol.

Cell lengths 6.833, 6.833, 6.833 Å; angles 90.00, 90.00, 90.00 degrees
Sites, in units of the cell vectors:
Cs1 0.000 0.000 0.000
Br1 0.000 0.000 0.500
Br2 0.000 0.500 0.000
Br3 0.500 0.000 0.000
Cl1 0.500 0.500 0.500

Computed properties:
E_form (uncorrected) ... 180 meV/atom
SG ... Pm-3m, No. 221
Raw total energy ... -1.53 eV per atom
Crystal system ... cubic

---

Entry 2:
An optimized crystal structure of Sc2IrPt, computed with PBEsol.

Cell lengths 6.409, 6.409, 6.409 Å; angles 90.00, 90.00, 90.00 degrees
Sites, in units of the cell vectors:
Sc1 0.000 0.000 0.000
Sc2 0.000 0.500 0.500
Sc3 0.250 0.250 0.250
Sc4 0.250 0.750 0.750
Sc5 0.500 0.000 0.500
Sc6 0.500 0.500 0.000
Sc7 0.750 0.250 0.750
Sc8 0.750 0.750 0.250
Ir1 0.000 0.000 0.500
Ir2 0.000 0.500 0.000
Ir3 0.500 0.000 0.000
Ir4 0.500 0.500 0.500
Pt1 0.250 0.250 0.750
Pt2 0.250 0.750 0.250
Pt3 0.750 0.250 0.250
Pt4 0.750 0.750 0.750

Computed properties:
SG ... F-43m, No. 216
Raw total energy ... -8.13 eV per atom
Formation energy ... -0.628 eV per atom
Crystal system ... cubic

---

Entry 3:
An optimized crystal structure of Ti2Al2Pt, computed with PBEsol.

Cell lengths 6.318, 6.318, 3.962 Å; angles 90.00, 90.00, 90.00 degrees
Sites, in units of the cell vectors:
Ti1 0.164 0.336 0.000
Ti2 0.336 0.836 0.000
Ti3 0.664 0.164 0.000
Ti4 0.836 0.664 0.000
Al1 0.140 0.640 0.500
Al2 0.360 0.140 0.500
Al3 0.640 0.860 0.500
Al4 0.860 0.360 0.500
Pt1 0.000 0.000 0.500
Pt2 0.500 0.500 0.500

Computed properties:
SG ... P4/mbm, No. 127
Raw total energy ... -6.95 eV per atom
Formation energy ... -0.595 eV per atom
Crystal system ... tetragonal

---

Entry 4:
An optimized crystal structure of MgMo2P, computed with PBEsol.

Cell lengths 6.105, 6.105, 6.105 Å; angles 90.00, 90.00, 90.00 degrees
Sites, in units of the cell vectors:
Mg1 0.000 0.000 0.000
Mg2 0.000 0.500 0.500
Mg3 0.500 0.000 0.500
Mg4 0.500 0.500 0.000
Mo1 0.250 0.250 0.250
Mo2 0.250 0.250 0.750
Mo3 0.250 0.750 0.250
Mo4 0.250 0.750 0.750
Mo5 0.750 0.250 0.250
Mo6 0.750 0.250 0.750
Mo7 0.750 0.750 0.250
Mo8 0.750 0.750 0.750
P1 0.000 0.000 0.500
P2 0.000 0.500 0.000
P3 0.500 0.000 0.000
P4 0.500 0.500 0.500

Computed properties:
Distance to the lowest polymorph of the same formula ... 0.373 eV per atom
SG ... Fm-3m, No. 225
Raw total energy ... -7.40 eV per atom
Formation energy ... 0.357 eV per atom
Crystal system ... cubic

---

> Which formula does entry 3 have?

Ti2Al2Pt

---

> Which of these has the highest raw total energy?

CsBr3Cl

---

> Among the records above, which one has the highest raw total energy?

CsBr3Cl

---

> Among the records above, which one has the highest raw total energy?

CsBr3Cl

=====

[1]
CeScFe4 PBE-GGA relaxed; SG = F-43m (216); formation energy = -0.129 eV/atom; electronic total energy = -46.89 eV per cell; magnetic moment = 6.52 μB/f.u.
1.0
5.0455 0.0000 0.0000